[Job]
It remains to quote only the last part of the calculation results below, starting with the line that has "_space_group_IT_number 127".

[Given]
- - -
# Tb3Nd5Tm3 | Alexandria | PBE-GGA | optimized geometry
# total DFT energy (no corrections)	-4.33	eV per atom
# ΔE to the lowest computed polymorph	0	kJ/mol of formula units
# total magnetic moment	0.000	μB/f.u.
# formation energy	3.47	eV/f.u.
data_Tb3Nd5Tm3
_chemical_formula_sum 'Tb3 Nd5 Tm3'
_cell_length_a 11.2713
_cell_length_b 11.2713
_cell_length_c 3.4527
_cell_angle_alpha 90.00
_cell_angle_beta 90.00
_cell_angle_gamma 120.00
_space_group_name_H-M_alt 'P -6 2 m'
_space_group_IT_number 189
_space_group_name_Hall 'P -6 -2'
loop_
_atom_site_label
_atom_site_type_symbol
_atom_site_fract_x
_atom_site_fract_y
_atom_site_fract_z
Tb1 Tb 0.0000 0.5964 0.0000
Nd1 Nd 0.0000 0.3377 0.5000
Nd2 Nd 0.3333 0.6667 0.5000
Tm1 Tm 0.0000 0.8410 0.5000

# Cu3PbO6 | Alexandria | PBE-GGA | optimized geometry
# formation energy without anion corrections	-0.57	eV/atom
# total DFT energy (no corrections)	-5.14	eV per atom
# ΔE to the lowest computed polymorph	0	kJ/mol of formula units
# total magnetic moment	1.170	μB/f.u.
data_Cu3PbO6
_chemical_formula_sum 'Cu6 Pb2 O12'
_cell_length_a 6.8842
_cell_length_b 9.8515
_cell_length_c 3.3286
_cell_angle_alpha 90.00
_cell_angle_beta 90.00
_cell_angle_gamma 90.00
_space_group_name_H-M_alt 'C m m m'
_space_group_IT_number 65
_space_group_name_Hall '-C 2 2'
loop_
_atom_site_label
_atom_site_type_symbol
_atom_site_fract_x
_atom_site_fract_y
_atom_site_fract_z
Cu1 Cu 0.0000 0.0000 0.0000
Cu2 Cu 0.2500 0.2500 0.5000
Pb1 Pb 0.0000 0.5000 0.0000
O1 O 0.0000 0.3440 0.5000
O2 O 0.1954 0.1283 0.0000

# Al2NiPd2 | Alexandria | PBE-GGA | optimized geometry
# total DFT energy (no corrections)	-5.28	eV per atom
# ΔE to the lowest computed polymorph	57	kJ/mol of formula units
# total magnetic moment	0.000	μB/f.u.
# formation energy	-2.74	eV/f.u.
data_Al2NiPd2
_chemical_formula_sum 'Al4 Ni2 Pd4'
_cell_length_a 7.0171
_cell_length_b 7.0171
_cell_length_c 2.9537
_cell_angle_alpha 90.00
_cell_angle_beta 90.00
_cell_angle_gamma 90.00
_space_group_name_H-M_alt 'P 4/m b m'
_space_group_IT_number 127
_space_group_name_Hall '-P 4 2ab'
loop_
_atom_site_label
_atom_site_type_symbol
_atom_site_fract_x
_atom_site_fract_y
_atom_site_fract_z
Al1 Al 0.1496 0.3504 0.0000
Ni1 Ni 0.0000 0.0000 0.0000
Pd1 Pd 0.1497 0.6497 0.5000

* * * * *

DFT (PBE) results for crystalline Sr2Zn at its relaxed geometry. Values from VASP.

Geometry as Quantum ESPRESSO input:
```
&SYSTEM
  ibrav = 0, nat = 3, ntyp = 2
/
ATOMIC_SPECIES
Sr 87.62 Sr.upf
Zn 65.41 Zn.upf
ATOMIC_POSITIONS angstrom
Sr 8.357 4.825 3.412
Sr 2.786 1.608 1.137
Zn 0.000 0.000 0.000
CELL_PARAMETERS angstrom
5.571 0.000 0.000
2.786 4.825 0.000
2.786 1.608 4.549
```

Output
Its spin magnetization is 0.001 Bohr magnetons per cell. The calculation puts the formation energy from the elements at -0.008 eV/atom.

---

DFT (PBE) results for crystalline TlAs2Cl6 at its relaxed geometry. Values from VASP.

Geometry as Quantum ESPRESSO input:
```
&SYSTEM
  ibrav = 0, nat = 18, ntyp = 3
/
ATOMIC_SPECIES
Tl 204.38 Tl.upf
As 74.92 As.upf
Cl 35.45 Cl.upf
ATOMIC_POSITIONS angstrom
Tl 5.694 -0.673 7.567
Tl 10.874 7.593 -0.869
As 6.998 3.754 4.947
As 4.389 1.802 3.058
As 9.570 3.165 1.751
As 12.179 5.117 3.641
Cl 9.369 4.645 4.187
Cl 12.380 2.635 2.241
Cl 7.199 2.275 2.511
Cl 4.188 4.284 4.457
Cl 12.757 6.215 1.802
Cl 8.991 4.968 0.595
Cl 3.810 0.705 4.896
Cl 7.577 1.952 6.104
Cl 6.925 5.169 6.768
Cl 4.462 -0.064 1.702
Cl 9.642 1.750 -0.070
Cl 12.106 6.983 4.997
CELL_PARAMETERS angstrom
10.361 0.102 0.099
3.103 8.317 -1.770
3.103 -1.500 8.370
```

Output
Its spin magnetization is 0.000 Bohr magnetons per cell. Its formation energy without anion corrections is -0.625 eV per atom.

---

DFT (PBE) results for crystalline Dy2P6Pd21 at its relaxed geometry. Values from VASP.

Geometry as Quantum ESPRESSO input:
```
&SYSTEM
  ibrav = 0, nat = 29, ntyp = 3
/
ATOMIC_SPECIES
Dy 162.50 Dy.upf
P 30.97 P.upf
Pd 106.42 Pd.upf
ATOMIC_POSITIONS angstrom
Dy -14.653 -3.224 -5.064
Dy -4.884 -1.075 -1.688
- - -

[Outcome]
_space_group_IT_number 127
_space_group_name_Hall '-P 4 2ab'
loop_
_atom_site_label
_atom_site_type_symbol
_atom_site_fract_x
_atom_site_fract_y
_atom_site_fract_z
Al1 Al 0.1496 0.3504 0.0000
Ni1 Ni 0.0000 0.0000 0.0000
Pd1 Pd 0.1497 0.6497 0.5000

* * * * *

DFT (PBE) results for crystalline Sr2Zn at its relaxed geometry. Values from VASP.

Geometry as Quantum ESPRESSO input:
```
&SYSTEM
  ibrav = 0, nat = 3, ntyp = 2
/
ATOMIC_SPECIES
Sr 87.62 Sr.upf
Zn 65.41 Zn.upf
ATOMIC_POSITIONS angstrom
Sr 8.357 4.825 3.412
Sr 2.786 1.608 1.137
Zn 0.000 0.000 0.000
CELL_PARAMETERS angstrom
5.571 0.000 0.000
2.786 4.825 0.000
2.786 1.608 4.549
```

Output
Its spin magnetization is 0.001 Bohr magnetons per cell. The calculation puts the formation energy from the elements at -0.008 eV/atom.

---

DFT (PBE) results for crystalline TlAs2Cl6 at its relaxed geometry. Values from VASP.

Geometry as Quantum ESPRESSO input:
```
&SYSTEM
  ibrav = 0, nat = 18, ntyp = 3
/
ATOMIC_SPECIES
Tl 204.38 Tl.upf
As 74.92 As.upf
Cl 35.45 Cl.upf
ATOMIC_POSITIONS angstrom
Tl 5.694 -0.673 7.567
Tl 10.874 7.593 -0.869
As 6.998 3.754 4.947
As 4.389 1.802 3.058
As 9.570 3.165 1.751
As 12.179 5.117 3.641
Cl 9.369 4.645 4.187
Cl 12.380 2.635 2.241
Cl 7.199 2.275 2.511
Cl 4.188 4.284 4.457
Cl 12.757 6.215 1.802
Cl 8.991 4.968 0.595
Cl 3.810 0.705 4.896
Cl 7.577 1.952 6.104
Cl 6.925 5.169 6.768
Cl 4.462 -0.064 1.702
Cl 9.642 1.750 -0.070
Cl 12.106 6.983 4.997
CELL_PARAMETERS angstrom
10.361 0.102 0.099
3.103 8.317 -1.770
3.103 -1.500 8.370
```

Output
Its spin magnetization is 0.000 Bohr magnetons per cell. Its formation energy without anion corrections is -0.625 eV per atom.

---

DFT (PBE) results for crystalline Dy2P6Pd21 at its relaxed geometry. Values from VASP.

Geometry as Quantum ESPRESSO input:
```
&SYSTEM
  ibrav = 0, nat = 29, ntyp = 3
/
ATOMIC_SPECIES
Dy 162.50 Dy.upf
P 30.97 P.upf
Pd 106.42 Pd.upf
ATOMIC_POSITIONS angstrom
Dy -14.653 -3.224 -5.064
Dy -4.884 -1.075 -1.688